Osteopathy is a system of diagnosis and treatment for a wide range of medical conditions. It works with the structure and function of the body, and is based on the principle that the well-being of an individual depends on the skeleton, muscles, ligaments, viscera and connective tissues functioning smoothly together.
To an osteopath, for your body to work well, every one of its parts or structures (viscera, nerves, muscles, ligaments…etc.) must also work well. So osteopaths work to restore your body to a state of balance and more precisely to restore its function. They do that without the use of drugs or surgery. They use numerous manipulative techniques (structural, cranial, functional and visceral techniques) to restore the normal movement in between the different body structures to improve their function and consequently the one of the entire body. An osteopathic manipulative treatment not only increases the mobility of joints, relieve muscle tension, enhance the blood and nerve supply to tissues among other things but also help your body’s own healing mechanisms. The body has the natural ability to maintain itself and, by helping this process, an osteopath can promote restoration of normal function.
Osteopaths may also provide advice on posture and exercise to aid recovery, support their treatments, promote health and prevent symptoms recurring.
Osteopaths will take the time to understand their patient, and their unique combination of symptoms, medical history and lifestyle. This helps to make an accurate diagnosis of the causes of the pain or lack of function (rather than just addressing the site of the condition), and from that, to formulate a treatment plan that will achieve the best outcome.
What can an Osteopath treat, give relief, or advise about ?
- Aches and pains: back, neck, shoulder, elbow, hand, hip, knee, ankle, foot (basically any!)
- Minor Sports and Dance injuries
- Postural advice
- Sciatica, Neuralgia
- Joint, Arthritic & Rheumatic pain,
- Fibromyalgia
- Trapped nerves,
- Circulatory problems
- Stiffness & tension
- Whiplash associate disorders
- Disc, muscle & ligament strains
- Muscle spasms. Cramp
- Frozen shoulder (Adhesive Capsulitis) & Tennis elbow
- Osteoarthritis of the Hip/Knee
- Inability to relax
- Neck related headaches or dizziness (Cervicogenic)
- Migraine relief
- Aches and pain relief during pregnancy, PGP (SPD)
- Sinus, dental, ear, and eye (facial) aches/problems
- Digestion, IBS, (Stress and tension related) problems
- Baby / child problems, digestion,- Cranial Osteopathy can have a calming effect
........
Record 1
111
Properties=species:S:1:pos:R:3 method="wB97M-V/def2-TZVPD" gap_ev=6.9 total_charge=+1 mol_weight_g_mol=879.02 e_above_lowest_kj_mol=0.00
Mg -0.343 0.420 1.028
S 1.861 -0.263 0.520
C 2.823 1.204 0.237
C 4.211 1.000 0.144
C 5.095 2.044 -0.057
C 4.622 3.348 -0.178
C 3.262 3.572 -0.100
C 2.351 2.526 0.104
As 0.450 2.963 0.137
C 0.124 3.422 -1.726
C -1.166 3.813 -2.089
C -1.452 4.185 -3.397
C -0.452 4.141 -4.361
C 0.826 3.723 -4.011
C 1.115 3.363 -2.698
C 0.543 4.767 0.904
C -0.117 5.849 0.330
C -0.086 7.100 0.937
C 0.599 7.285 2.128
C 1.267 6.212 2.706
C 1.238 4.965 2.099
H 4.584 -0.013 0.240
H 6.159 1.843 -0.117
H 5.305 4.174 -0.334
H 2.890 4.581 -0.206
H -1.954 3.830 -1.345
H -2.449 4.515 -3.664
H -0.672 4.423 -5.385
H 1.607 3.686 -4.762
H 2.116 3.046 -2.436
H -0.642 5.735 -0.606
H -0.593 7.935 0.466
H 0.623 8.260 2.598
H 1.820 6.348 3.628
H 1.799 4.156 2.544
C 1.624 1.423 3.441
N 0.183 1.112 3.352
C -0.583 2.302 3.764
C -0.129 0.001 4.264
C -1.324 -0.794 3.801
N -1.115 -1.477 2.510
C -0.007 -2.450 2.601
C -2.354 -2.213 2.218
H 1.888 1.744 4.457
H 1.882 2.213 2.745
H 2.210 0.551 3.169
H -0.258 2.652 4.751
H -1.648 2.068 3.823
H -0.438 3.114 3.055
H -0.335 0.375 5.273
H 0.742 -0.645 4.344
H -2.194 -0.138 3.695
H -1.564 -1.533 4.577
H -0.152 -3.131 3.451
H 0.954 -1.945 2.691
H 0.024 -3.037 1.686
H -2.610 -2.887 3.044
H -2.227 -2.820 1.322
H -3.184 -1.523 2.075
C -1.193 0.578 -3.606
C -1.410 0.167 -2.178
O -0.649 0.498 -1.269
N -2.529 -0.557 -1.926
C -2.854 -0.985 -0.577
C -3.398 0.172 0.239
C -4.758 0.418 0.301
C -5.218 1.557 0.942
C -4.298 2.441 1.484
C -2.956 2.124 1.400
N -2.502 0.999 0.816
H -0.206 1.018 -3.712
H -1.941 1.327 -3.880
H -1.292 -0.276 -4.276
H -3.145 -0.790 -2.683
H -1.947 -1.378 -0.126
H -3.585 -1.786 -0.639
H -5.454 -0.276 -0.155
H -6.280 1.758 1.009
H -4.610 3.359 1.965
H -2.206 2.794 1.798
C -2.091 -4.933 -1.507
C -0.725 -5.289 -0.911
C -0.850 -5.775 0.534
Sb 0.577 -3.544 -1.045
C 1.215 -3.784 -3.117
C 0.919 -5.158 -3.716
C 0.599 -2.663 -3.953
C 2.330 -4.473 -0.133
C 3.576 -3.611 -0.361
C 2.564 -5.909 -0.605
H -2.761 -5.800 -1.503
H -2.009 -4.580 -2.541
H -2.575 -4.142 -0.920
H -0.272 -6.077 -1.519
H -1.415 -5.060 1.145
H 0.122 -5.928 1.012
H -1.391 -6.728 0.574
H 2.296 -3.630 -3.070
H -0.157 -5.302 -3.862
H 1.284 -5.978 -3.095
H 1.395 -5.252 -4.699
H -0.491 -2.779 -4.006
H 0.983 -2.684 -4.982
H 0.822 -1.680 -3.530
H 2.099 -4.478 0.936
H 3.907 -3.676 -1.403
H 4.402 -3.970 0.264
H 3.405 -2.562 -0.122
H 2.905 -5.921 -1.644
H 1.671 -6.536 -0.532
H 3.348 -6.381 -0.001

Record 2
12
Properties=species:S:1:pos:R:3 method="wB97M-V/def2-TZVPD" gap_ev=10.2 smiles=C#CC#CCC mol_weight_g_mol=78.11 e_above_lowest_kj_mol=335.20
C -0.122 -2.092 -0.288
C 0.997 -1.048 -0.198
C 0.456 0.311 -0.155
C -0.054 1.396 0.000
C -0.633 2.616 0.294
C -1.136 3.660 0.626
H 0.292 -3.104 -0.230
H -0.831 -1.959 0.533
H -0.670 -1.994 -1.229
H 1.698 -1.158 -1.034
H 1.579 -1.201 0.720
H -1.576 4.573 0.961

Record 3
11
........
The quantum chemistry results stop here
- and many more ailments
Is treatment painful?
Osteopaths work very hard to make treatment as painless as possible, but you may experience some discomfort during and after treatment. Your osteopath will warn you if they think that the technique that they are about to use is likely to be uncomfortable and will stop if you tell them that you are feeling too much pain.
Following treatment about half of patients report some mild soreness in the area(s) of their body that was treated, this can usually be relieved with an over the counter pain killer and will go away within 48 hours. If you experience serious or unusual symptoms after treatment you should contact your osteopath straight away for advice.